## Listing
+++
Molecular formula: C36H45CaCl2F6N3O8P2S2
Method: DFT, wB97M-V/def2-TZVPD

Last column: Löwdin charge in e.
Cartesian coordinates (Å):
Ca  2.03747  0.74580  -4.34322  1.5289
C  -1.75697  0.36363  -0.73323  -0.1354
C  -1.98791  -1.20620  -0.86679  -0.4970
C  -3.44873  -1.43950  -1.22659  -0.1284
P  -1.26180  -2.03887  0.67479  1.0857
C  -0.92145  -3.79264  0.03511  -0.5453
C  -0.01181  -4.57347  0.95053  -0.1518
C  -2.19919  -4.62442  -0.25994  -0.1415
C  -2.44826  -2.15602  2.03674  -0.3069
C  -3.25993  -3.22283  2.37495  -0.0642
C  -3.93211  -3.12727  3.60825  -0.3115
C  -4.74493  -4.23805  4.19082  -0.1150
C  -3.90140  -1.93597  4.40392  -0.0819
C  -3.23708  -0.78077  3.99379  -0.0441
C  -2.45129  -0.92146  2.79889  -0.2903
N  -1.56439  -0.01045  2.27857  -0.0197
C  -1.63078  1.32925  2.41872  -0.3902
C  -2.74540  2.07265  2.69288  -0.0534
C  -2.65274  3.45528  2.77516  -0.0562
C  -1.48736  4.14974  2.37247  -0.3272
C  -1.35297  5.61660  2.24647  -0.0931
C  -0.41735  3.38479  1.94927  -0.1081
C  -0.40519  2.04296  2.27567  -0.3329
P  1.16538  1.16363  2.17797  1.0857
C  2.64823  2.30571  2.03493  -0.5383
C  2.97471  2.73881  0.57289  -0.1417
C  2.55534  3.63040  2.91795  -0.1337
C  1.62959  0.75038  4.02488  -0.5359
C  0.67175  0.96035  5.18840  -0.1289
C  2.21884  -0.69766  4.00021  -0.1508
H  -2.25210  0.83047  0.15882  0.0603
H  -2.06701  0.93102  -1.62962  0.0449
H  -0.63626  0.59790  -0.52973  0.0797
H  -1.27458  -1.49967  -1.64440  0.0698
H  -4.07500  -1.70931  -0.42599  0.0311
H  -3.54844  -2.29514  -1.96538  0.0857
H  -3.86744  -0.46331  -1.58701  0.0675
H  -0.40838  -3.57585  -0.93906  0.0812
H  0.28524  -5.47513  0.46113  0.0634
H  -0.36687  -4.72644  1.94003  0.0513
H  0.92523  -3.98453  1.09110  0.0784
H  -3.12999  -4.07062  -0.04570  0.0362
H  -2.22856  -5.42615  0.48859  0.0546
H  -2.27345  -5.08527  -1.26248  0.0705
H  -3.25602  -4.13005  1.77437  0.0724
H  -4.34077  -5.24520  3.85637  0.0820
H  -5.81323  -4.12982  3.99396  0.0547
H  -4.69375  -4.24395  5.32701  0.0745
H  -4.21524  -1.93166  5.42937  0.0820
H  -3.29922  0.15074  4.50355  0.0734
H  -3.63334  1.53596  3.03832  0.0950
H  -3.45574  4.02623  3.17482  0.0811
H  -2.33191  6.15279  2.06398  0.0819
H  -0.70760  5.89219  1.38033  0.0715
H  -0.76834  5.95698  3.13020  0.0747
H  0.29428  3.90463  1.32965  0.0867
H  3.49648  1.72413  2.41970  0.0866
H  2.06546  2.83641  -0.09012  0.0424
H  3.62477  2.03489  0.04233  0.0621
H  3.49291  3.68522  0.57836  0.0496
H  1.69735  3.49557  3.64106  0.0670
H  2.28006  4.55975  2.32719  0.0718
H  3.52202  3.82321  3.36240  0.0483
H  2.51837  1.34946  4.20716  0.0584
H  -0.16471  0.23442  5.19498  0.0720
H  0.30857  2.01569  5.20229  0.0691
H  1.22949  0.81306  6.15483  0.0735
H  1.49680  -1.49636  4.18266  0.0644
H  3.01464  -0.83662  4.78790  0.0730
H  2.61694  -0.89465  3.00787  0.0382
F  5.29794  3.69195  -3.56339  0.1975
C  4.32659  3.18773  -4.28534  -0.5148
F  4.06174  1.88798  -3.83176  -0.0067
F  4.77605  2.99666  -5.59348  0.0740
S  2.66134  4.03494  -4.66533  0.6842
O  2.01778  2.86124  -5.31599  -0.4376
O  2.81398  5.14066  -5.51449  -0.2231
N  1.76793  4.44406  -3.36470  -0.2865
S  0.89121  3.42552  -2.65307  0.6094
O  1.48396  2.08581  -2.57310  -0.4236
O  0.21103  3.99438  -1.48935  -0.2356
C  -0.40164  2.97494  -3.92305  -0.5893
F  -1.56375  2.72606  -3.30035  0.1348
F  -0.73584  3.88904  -4.81440  0.1522
F  -0.04261  1.84349  -4.66685  -0.0378
O  5.76497  -5.12595  -1.25912  -0.0819
C  4.62403  -4.57691  -1.31286  -0.7010
O  3.70103  -4.78341  -0.49026  -0.0353
C  4.21346  -3.68906  -2.41458  -0.1042
C  5.11876  -2.91541  -3.10978  -0.0124
C  4.61620  -1.81285  -3.78252  -0.1586
N  3.32754  -1.38247  -3.82315  -0.0115
C  2.43408  -2.38324  -3.37459  -0.1667
C  2.80927  -3.44819  -2.60212  0.0750
C  0.95000  -2.09566  -3.54789  -0.6174
O  0.18801  -3.02571  -3.31364  0.0330
O  0.66158  -0.94838  -4.06352  -0.2520
H  6.20808  -3.15261  -3.02488  0.1299
H  5.21818  -1.15908  -4.35804  0.0767
+++
## What to do
Give back all of the lines earlier on verbatim.
## Outcome
Molecular formula: C36H45CaCl2F6N3O8P2S2
Method: DFT, wB97M-V/def2-TZVPD

Last column: Löwdin charge in e.
Cartesian coordinates (Å):
Ca  2.03747  0.74580  -4.34322  1.5289
C  -1.75697  0.36363  -0.73323  -0.1354
C  -1.98791  -1.20620  -0.86679  -0.4970
C  -3.44873  -1.43950  -1.22659  -0.1284
P  -1.26180  -2.03887  0.67479  1.0857
C  -0.92145  -3.79264  0.03511  -0.5453
C  -0.01181  -4.57347  0.95053  -0.1518
C  -2.19919  -4.62442  -0.25994  -0.1415
C  -2.44826  -2.15602  2.03674  -0.3069
C  -3.25993  -3.22283  2.37495  -0.0642
C  -3.93211  -3.12727  3.60825  -0.3115
C  -4.74493  -4.23805  4.19082  -0.1150
C  -3.90140  -1.93597  4.40392  -0.0819
C  -3.23708  -0.78077  3.99379  -0.0441
C  -2.45129  -0.92146  2.79889  -0.2903
N  -1.56439  -0.01045  2.27857  -0.0197
C  -1.63078  1.32925  2.41872  -0.3902
C  -2.74540  2.07265  2.69288  -0.0534
C  -2.65274  3.45528  2.77516  -0.0562
C  -1.48736  4.14974  2.37247  -0.3272
C  -1.35297  5.61660  2.24647  -0.0931
C  -0.41735  3.38479  1.94927  -0.1081
C  -0.40519  2.04296  2.27567  -0.3329
P  1.16538  1.16363  2.17797  1.0857
C  2.64823  2.30571  2.03493  -0.5383
C  2.97471  2.73881  0.57289  -0.1417
C  2.55534  3.63040  2.91795  -0.1337
C  1.62959  0.75038  4.02488  -0.5359
C  0.67175  0.96035  5.18840  -0.1289
C  2.21884  -0.69766  4.00021  -0.1508
H  -2.25210  0.83047  0.15882  0.0603
H  -2.06701  0.93102  -1.62962  0.0449
H  -0.63626  0.59790  -0.52973  0.0797
H  -1.27458  -1.49967  -1.64440  0.0698
H  -4.07500  -1.70931  -0.42599  0.0311
H  -3.54844  -2.29514  -1.96538  0.0857
H  -3.86744  -0.46331  -1.58701  0.0675
H  -0.40838  -3.57585  -0.93906  0.0812
H  0.28524  -5.47513  0.46113  0.0634
H  -0.36687  -4.72644  1.94003  0.0513
H  0.92523  -3.98453  1.09110  0.0784
H  -3.12999  -4.07062  -0.04570  0.0362
H  -2.22856  -5.42615  0.48859  0.0546
H  -2.27345  -5.08527  -1.26248  0.0705
H  -3.25602  -4.13005  1.77437  0.0724
H  -4.34077  -5.24520  3.85637  0.0820
H  -5.81323  -4.12982  3.99396  0.0547
H  -4.69375  -4.24395  5.32701  0.0745
H  -4.21524  -1.93166  5.42937  0.0820
H  -3.29922  0.15074  4.50355  0.0734
H  -3.63334  1.53596  3.03832  0.0950
H  -3.45574  4.02623  3.17482  0.0811
H  -2.33191  6.15279  2.06398  0.0819
H  -0.70760  5.89219  1.38033  0.0715
H  -0.76834  5.95698  3.13020  0.0747
H  0.29428  3.90463  1.32965  0.0867
H  3.49648  1.72413  2.41970  0.0866
H  2.06546  2.83641  -0.09012  0.0424
H  3.62477  2.03489  0.04233  0.0621
H  3.49291  3.68522  0.57836  0.0496
H  1.69735  3.49557  3.64106  0.0670
H  2.28006  4.55975  2.32719  0.0718
H  3.52202  3.82321  3.36240  0.0483
H  2.51837  1.34946  4.20716  0.0584
H  -0.16471  0.23442  5.19498  0.0720
H  0.30857  2.01569  5.20229  0.0691
H  1.22949  0.81306  6.15483  0.0735
H  1.49680  -1.49636  4.18266  0.0644
H  3.01464  -0.83662  4.78790  0.0730
H  2.61694  -0.89465  3.00787  0.0382
F  5.29794  3.69195  -3.56339  0.1975
C  4.32659  3.18773  -4.28534  -0.5148
F  4.06174  1.88798  -3.83176  -0.0067
F  4.77605  2.99666  -5.59348  0.0740
S  2.66134  4.03494  -4.66533  0.6842
O  2.01778  2.86124  -5.31599  -0.4376
O  2.81398  5.14066  -5.51449  -0.2231
N  1.76793  4.44406  -3.36470  -0.2865
S  0.89121  3.42552  -2.65307  0.6094
O  1.48396  2.08581  -2.57310  -0.4236
O  0.21103  3.99438  -1.48935  -0.2356
C  -0.40164  2.97494  -3.92305  -0.5893
F  -1.56375  2.72606  -3.30035  0.1348
F  -0.73584  3.88904  -4.81440  0.1522
F  -0.04261  1.84349  -4.66685  -0.0378
O  5.76497  -5.12595  -1.25912  -0.0819
C  4.62403  -4.57691  -1.31286  -0.7010
O  3.70103  -4.78341  -0.49026  -0.0353
C  4.21346  -3.68906  -2.41458  -0.1042
C  5.11876  -2.91541  -3.10978  -0.0124
C  4.61620  -1.81285  -3.78252  -0.1586
N  3.32754  -1.38247  -3.82315  -0.0115
C  2.43408  -2.38324  -3.37459  -0.1667
C  2.80927  -3.44819  -2.60212  0.0750
C  0.95000  -2.09566  -3.54789  -0.6174
O  0.18801  -3.02571  -3.31364  0.0330
O  0.66158  -0.94838  -4.06352  -0.2520
H  6.20808  -3.15261  -3.02488  0.1299
H  5.21818  -1.15908  -4.35804  0.0767